'''
Entry 1:
{
  "formula": "La2MgZrC",
  "functional": "PBE-GGA",
  "state": "relaxed",
  "volume_a3_per_atom": 26.17,
  "magmom_total_mub_per_atom": 0.000,
  "formation_energy_mev_per_atom": -85,
  "lattice_angstrom": [[-3.8480, 0.0995, 3.7570], [-1.9396, -4.6582, -1.8632], [2.7069, -2.2599, 2.8323]],
  "species": ["Mg", "C", "Zr", "La", "La"],
  "frac_coords": [[0.5000, 0.5000, 0.5000], [0.0000, 0.0000, 0.0000], [0.0000, 0.0000, 0.5000], [0.0000, 0.5000, 0.0000], [0.5000, 0.0000, 0.0000]]
}

=====

Entry 2:
{
  "formula": "LaMnC2",
  "functional": "PBE-GGA",
  "state": "relaxed",
  "volume_a3_per_atom": 13.67,
  "magmom_total_mub_per_atom": 0.653,
  "formation_energy_mev_per_atom": 1077,
  "lattice_angstrom": [[3.0016, -0.6211, 2.9596], [-0.2989, 1.9460, 3.7786], [-0.8928, -2.2638, 3.4975]],
  "species": ["C", "C", "Mn", "La"],
  "frac_coords": [[0.2500, 0.2500, 0.2500], [0.7500, 0.7500, 0.7500], [0.0000, 0.0000, 0.0000], [0.5000, 0.5000, 0.5000]]
}

=====

Entry 3:
{
  "formula": "La2MnC4",
  "functional": "PBE-GGA",
  "state": "relaxed",
  "volume_a3_per_atom": 15.23,
  "magmom_total_mub_per_atom": 0.133,
  "formation_energy_mev_per_atom": -147,
  "lattice_angstrom": [[4.8961, 0.0000, 1.9448], [1.7332, 6.2208, 2.7719], [0.0429, 0.0273, 7.0274]],
  "species": ["C", "C", "C", "C", "C", "C", "C", "C", "Mn", "Mn", "La", "La", "La", "La"],
  "frac_coords": [[0.1187, 0.2128, 0.5497], [0.8813, 0.7872, 0.4503], [0.6187, 0.5497, 0.2128], [0.3813, 0.4503, 0.7872], [0.0766, 0.0868, 0.7600], [0.9234, 0.9132, 0.2400], [0.5766, 0.7600, 0.0868], [0.4234, 0.2400, 0.9132], [0.2500, 0.0000, 0.0000], [0.7500, 0.0000, 0.0000], [0.3549, 0.8097, 0.4805], [0.6451, 0.1903, 0.5195], [0.8549, 0.4805, 0.8097], [0.1451, 0.5195, 0.1903]]
}

=====

Entry 4:
{
  "formula": "LaMn2C",
  "functional": "PBE-GGA",
  "state": "relaxed",
  "volume_a3_per_atom": 18.25,
  "magmom_total_mub_per_atom": 0.806,
  "formation_energy_mev_per_atom": 298,
  "lattice_angstrom": [[-4.6600, -2.4481, -2.7093], [1.3756, -5.2460, 2.3742], [-4.0218, -2.9752, 3.1375]],
  "species": ["C", "C", "Mn", "Mn", "Mn", "Mn", "La", "La"],
  "frac_coords": [[0.5000, 0.5000, 0.0000], [0.2500, 0.7500, 0.5000], [0.3743, 0.1250, 0.2500], [0.3757, 0.6250, 0.2500], [0.3750, 0.6257, 0.7500], [0.8750, 0.6243, 0.7500], [0.0000, 0.0000, 0.0000], [0.7500, 0.2500, 0.5000]]
}

=====

Entry 5:
{
  "formula": "LaMn3C",
  "functional": "PBE-GGA",
  "state": "relaxed",
  "volume_a3_per_atom": 17.56,
  "magmom_total_mub_per_atom": 0.311,
  "formation_energy_mev_per_atom": 3229,
  "e_above_lowest_polymorph_mev_per_atom": 2985,
  "lattice_angstrom": [[4.4446, 0.0000, 0.0000], [0.0000, 4.4446, 0.0000], [0.0000, 0.0000, 4.4446]],
  "species": ["C", "Mn", "Mn", "Mn", "La"],
  "frac_coords": [[0.5000, 0.5000, 0.5000], [0.0000, 0.5000, 0.0000], [0.0000, 0.0000, 0.5000], [0.5000, 0.0000, 0.0000], [0.0000, 0.0000, 0.0000]]
}

=====

Entry 6:
{
  "formula": "LaMnC2",
  "functional": "PBE-GGA",
  "state": "relaxed",
  "volume_a3_per_atom": 13.06,
  "magmom_total_mub_per_atom": 0.517,
  "formation_energy_mev_per_atom": 431,
  "lattice_angstrom": [[3.3292, 0.0000, 0.0000], [1.6646, 2.8832, 0.0000], [1.6646, 0.9611, 5.4404]],
  "species": ["C", "C", "Mn", "La"],
  "frac_coords": [[0.2780, 0.2780, 0.1660], [0.7220, 0.7220, 0.8340], [0.0000, 0.0000, 0.0000], [0.5000, 0.5000, 0.5000]]
}

=====

First-principles (PBEsol) data for a relaxed structure of Rb3DyP2O8, as listed in Alexandria.

Geometry as extended XYZ:
```
14
Lattice="-0.819 -4.795 2.959 1.903 -0.252 -5.361 7.535 0.353 2.658" Properties=species:S:1:pos:R:3 pbc="T T T"
Rb 6.606 -1.504 -0.608
Rb 0.000 0.000 0.000
Rb 2.013 -3.191 0.865
O 3.957 -0.972 -2.920
O 4.662 -3.722 3.176
O 1.605 -1.738 -2.373
O 3.592 -3.108 -1.603
O 5.026 -1.587 1.859
O 7.014 -2.957 2.629
O 3.110 -0.860 -0.533
O 5.509 -3.835 0.789
Dy 3.767 0.176 1.329
P 5.582 -3.024 2.124
P 3.037 -1.671 -1.867
```

Output
Total magnetic moment (μB/f.u.): 0.001
Total energy (eV/atom): -7.001
'''

Could you say how many lines of the contents earlier on hold the word "pbc", as a bare number?

1